• What to do:
What is needed: set down only the lines underneath with the word "total" in them.
• Data:
No. 1
16
Properties=species:S:1:pos:R:3:forces:R:3 method="wB97M-V/def2-TZVPD" total_charge=0 gap_ha=0.3882 lumo_ev=0.92 e_homo_ev=-9.64
C 2.02672 -0.25361 -0.24644 0.065 0.009 -0.045
C 0.70501 -0.49252 0.47817 -0.012 -0.043 0.008
C -0.53990 0.03060 -0.25614 0.021 -0.131 -0.053
C -1.82325 -0.50096 0.39812 -0.060 0.042 0.075
C -0.56759 1.54278 -0.46766 -0.004 -0.063 -0.031
O 0.38931 2.25225 -0.66272 -0.418 -0.296 0.199
H 2.20805 0.81326 -0.38275 0.050 -0.182 0.023
H 2.85948 -0.68812 0.31644 -0.116 0.054 -0.079
H 2.01215 -0.72224 -1.23797 0.011 0.059 0.126
H 0.56145 -1.57255 0.61681 0.011 0.151 0.015
H 0.74032 -0.06222 1.48937 -0.035 0.012 -0.192
H -0.51770 -0.36857 -1.28329 0.065 0.080 0.023
H -1.82289 -0.29590 1.47340 -0.025 0.051 -0.083
H -2.73675 -0.06963 -0.02858 0.206 0.017 0.016
H -1.89907 -1.58933 0.28224 0.108 0.242 -0.019
H -1.59536 1.97675 -0.48899 0.134 -0.002 0.017



No. 2
16
Properties=species:S:1:pos:R:3:forces:R:3 method="wB97M-V/def2-TZVPD" total_charge=0 gap_ha="0.2852 / 0.2854" lumo_ev="-0.05 / -0.04" e_homo_ev="-7.81 / -7.81"
C -1.95431 -0.75146 -0.84567 -0.046 -0.071 -0.010
C -0.75398 0.14397 -0.52629 -0.026 0.131 0.000
C 0.48052 -0.65171 -0.13341 -0.071 -0.165 0.122
C 1.52232 1.40485 0.41796 0.124 0.234 -0.015
C 0.80987 -0.83025 1.21434 0.068 0.103 -0.055
O 1.13290 0.14372 1.94239 -0.111 -0.147 -0.209
H -2.24603 -1.34201 0.02968 0.045 0.086 -0.120
H -2.82116 -0.15893 -1.16086 0.134 -0.061 0.046
H -1.71552 -1.45180 -1.65461 -0.020 0.099 0.117
H -0.53822 0.76579 -1.41171 -0.014 -0.087 0.147
H -1.01774 0.84332 0.27742 0.062 -0.079 -0.118
H 0.63121 -1.52532 -0.77661 -0.006 0.105 0.098
H 1.31222 2.14800 1.18059 0.005 -0.137 -0.098
H 2.55691 1.08470 0.37742 -0.169 0.022 0.009
H 1.08538 1.65903 -0.54504 0.027 -0.129 0.157
H 0.81007 -1.82017 1.69475 -0.003 0.096 -0.072



No. 3
16
Properties=species:S:1:pos:R:3:forces:R:3 method="wB97M-V/def2-TZVPD" total_charge=+1 gap_ha="0.3098 / 0.1892" lumo_ev="-5.49 / -8.58" e_homo_ev="-13.91 / -13.73" multiplicity=2
C 2.62516 -1.49852 0.67990 1.540 0.579 3.401
C 1.20450 -1.15722 0.69216 1.330 -0.391 -3.606
C 0.30112 -1.04919 1.68184 0.118 0.041 1.384
H 3.08343 -1.73167 1.69305 -0.837 0.974 -0.704
H 2.82597 -2.43736 0.28345 -0.344 -2.108 -1.712
H 3.35570 -0.86256 0.15580 -0.847 0.309 -0.113
H 0.81196 -0.99964 -0.36669 0.257 0.226 1.364
H -0.31312 -0.20030 1.54418 -1.266 0.708 0.026
H 0.29365 -1.56585 2.63647 0.105 -0.109 -0.068
O -0.34455 1.61710 -0.42484 -0.588 -1.959 0.182
C -1.27173 0.88711 -0.69137 -2.781 1.750 -1.480
C -2.43823 1.31178 -1.74114 0.004 -1.394 -0.481
H -1.60369 -0.12389 -0.25784 1.235 0.644 0.199
H -1.88560 1.65068 -2.71748 -1.399 -0.189 1.929
H -3.25915 2.01279 -1.31109 1.996 -0.679 -0.677
H -3.07765 0.35728 -1.98942 1.478 1.597 0.357


# C36H58AsN7O3PRbS3Si3

C36H58AsN7O3PRbS3Si3 as an isolated structure (ωB97M-V/def2-TZVPD, OMol25).

Values from the calculation:
* spin multiplicity: 2
* highest occupied orbital energy (spin up / spin down): -0.0637 / -0.1767 Eh
* relative energy (zero: lowest compared OMol25 entry of this formula, charge and spin): 0.861 eV
* HOMO-LUMO gap (spin up / spin down): 3.06 / 6.13 eV
* net charge: -1
* calculated total energy: -181778.2541 eV
* max |F|: 0.9 eV Å⁻¹

XYZ file:
```
113
Properties=species:S:1:pos:R:3:lowdin_spin:R:1
Rb -0.7497 0.9293 -0.7710 0.002
C -2.6758 6.1948 2.6921 0.000
C -1.2333 6.0891 2.2259 0.000
O -1.1540 5.7088 0.8549 0.000
P -1.2693 4.1691 0.3174 0.000
S -2.7418 4.0492 -0.9692 0.000
S -1.1367 2.9235 1.8533 0.001
O 0.1117 4.0914 -0.5647 0.000
C 1.3571 4.3043 0.1233 0.000
C 2.4316 4.5999 -0.9035 0.001
H -2.7174 6.5022 3.7390 0.000
H -3.1551 5.2206 2.5958 0.000
H -3.2145 6.9148 2.0748 0.000
H -0.6866 5.3770 2.8475 0.000
H -0.7394 7.0616 2.2852 0.000
H 1.6069 3.4156 0.7072 0.000
H 1.2529 5.1444 0.8133 0.000
H 2.3953 3.8529 -1.6983 0.000
H 3.4152 4.5673 -0.4352 0.000
H 2.2700 5.5858 -1.3423 0.000
S -0.9901 -3.3144 -7.1556 0.000
C -0.7780 -2.2136 -5.7650 0.000
C -0.8029 -2.7037 -4.4663 0.000
• Completed:
* calculated total energy: -181778.2541 eV